Discover some common clothing superstitions for good luck.
If you put on a piece of clothing inside out by accident, it could be your lucky day. You may not notice your mistake before bedtime.
If someone points out your mistake, just smile and be happy. Do not correct your mistake. If you take your clothing off and put it on correctly, your good luck will be gone.
The same applies to socks. Putting on socks inside out without intension is good luck. You must wear them inside out all day to keep your luck.
Clothing Superstitions: Buttons
It is time to check your clothes. Having an odd number of buttons on your garments is believed to bring you special luck.
**Calculated crystals, kept here for reference**
'''
VASP calculation (meta-GGA r2SCAN) on a geometry-optimized MnVHPbO5 structure.

Total DFT energy (no corrections) (eV/atom): -15.160
Theoretical density (g/cm³): 5.9
Size of the total moment (μB/atom): 0.556

a b c (Å): 6.174 7.599 9.458
angles (deg): 90.00 90.00 90.00
Atoms (fractional coordinates):
Mn1 0.000 0.500 0.500
Mn2 0.500 0.500 0.500
Mn3 0.000 0.000 0.000
Mn4 0.500 0.000 0.000
V1 0.250 0.635 0.810
V2 0.750 0.865 0.310
V3 0.250 0.135 0.690
V4 0.750 0.365 0.190
H1 0.250 0.772 0.478
H2 0.750 0.728 0.978
H3 0.250 0.272 0.022
H4 0.750 0.228 0.522
Pb1 0.250 0.632 0.176
Pb2 0.750 0.868 0.676
Pb3 0.250 0.132 0.324
Pb4 0.750 0.368 0.824
O1 0.750 0.542 0.085
O2 0.013 0.626 0.706
O3 0.487 0.626 0.706
O4 0.250 0.658 0.427
O5 0.750 0.684 0.427
O6 0.250 0.816 0.927
O7 0.750 0.842 0.927
O8 0.513 0.874 0.206
O9 0.987 0.874 0.206
O10 0.250 0.958 0.585
O11 0.750 0.042 0.415
O12 0.013 0.126 0.794
O13 0.487 0.126 0.794
O14 0.250 0.158 0.073
O15 0.750 0.184 0.073
O16 0.250 0.316 0.573
O17 0.750 0.342 0.573
O18 0.513 0.374 0.294
O19 0.987 0.374 0.294
O20 0.250 0.458 0.915

VASP calculation (meta-GGA r2SCAN) on a geometry-optimized Mn2H2SO6 structure.

Total DFT energy (no corrections) (eV/atom): -8.525
Theoretical density (g/cm³): 3.7
Size of the total moment (μB/atom): 0.182

a b c (Å): 5.803 6.611 6.611
angles (deg): 66.83 70.03 70.03
Atoms (fractional coordinates):
Mn1 0.191 0.642 0.847
Mn2 0.809 0.358 0.153
Mn3 0.309 0.153 0.358
Mn4 0.691 0.847 0.642
H1 0.196 0.040 0.780
H2 0.304 0.220 0.960
H3 0.804 0.960 0.220
H4 0.696 0.780 0.040
S1 0.250 0.685 0.315
S2 0.750 0.315 0.685
O1 0.079 0.674 0.544
O2 0.421 0.456 0.326
O3 0.579 0.544 0.674
O4 0.921 0.326 0.456
O5 0.798 0.684 0.945
O6 0.702 0.055 0.316
O7 0.202 0.316 0.055
O8 0.298 0.945 0.684
O9 0.898 0.253 0.850
O10 0.602 0.150 0.747
O11 0.102 0.747 0.150
O12 0.398 0.850 0.253

VASP calculation (meta-GGA r2SCAN) on a geometry-optimized MoH8S4N2 structure.

Total DFT energy (no corrections) (eV/atom): -7.390
Theoretical density (g/cm³): 2.1
Size of the total moment (μB/atom): 0.000

a b c (Å): 7.085 9.653 12.170
angles (deg): 90.00 90.00 90.00
Atoms (fractional coordinates):
Mo1 0.750 0.253 0.569
Mo2 0.750 0.753 0.931
Mo3 0.250 0.747 0.431
Mo4 0.250 0.247 0.069
H1 0.750 0.767 0.636
H2 0.750 0.267 0.864
H3 0.250 0.233 0.364
H4 0.250 0.733 0.136
H5 0.750 0.600 0.675
H6 0.750 0.100 0.825
H7 0.250 0.400 0.325
H8 0.250 0.900 0.175
H9 0.868 0.650 0.561
H10 0.632 0.150 0.939
H11 0.368 0.350 0.439
H12 0.132 0.850 0.061
H13 0.132 0.350 0.439
H14 0.368 0.850 0.061
H15 0.632 0.650 0.561
H16 0.868 0.150 0.939
H17 0.750 0.000 0.268
H18 0.750 0.500 0.232
H19 0.250 0.000 0.732
H20 0.250 0.500 0.768
H21 0.750 0.007 0.405
H22 0.750 0.507 0.095
H23 0.250 0.993 0.595
H24 0.250 0.493 0.905
H25 0.633 0.879 0.340
H26 0.867 0.379 0.160
H27 0.133 0.121 0.660
H28 0.367 0.621 0.840
H29 0.367 0.121 0.660
H30 0.133 0.621 0.840
H31 0.867 0.879 0.340
H32 0.633 0.379 0.160
S1 0.750 0.033 0.615
S2 0.750 0.533 0.885
S3 0.250 0.967 0.385
'''
If your garment has an even number of buttons you simply need to sew an extra button on it.
Giving and receiving buttons has always been considered lucky. It symbolizes a long and strong friendship.
It you find a button by chance, be sure to pick it up and keep it. The best place to keep a found button is in your pocket. That button is a good luck token.
A jar full of buttons is also believed to bring good luck. Your next hobby may just become collecting buttons.
Put a Coin in the Pocket
Put a coin in the pocket of any new clothes you purchase before wearing them for the first time. The coin should never be spent. Keeping a lucky coin in your pocket is considered very lucky.
Clothing Superstitions: Wear Clothes with Polka Dots
This is an old superstition found many places around the world. Wearing clothes with polka dots is said to attract wealth.
The small round shapes resemble an overflow of coins coming into your life.
Women who feel the urge to attract more money need to choose to wear clothing with polka dots.
This works for men equally as well. Men should include polka dots in their wardrobe to attract wealth.
You could also try accessories with polka dots.
Some people just are not into polka dots. They may go for other clothing containing some sort of lucky symbol.
Keep Your Dreams Alive
Choose clothes or accessories that remind you of your wishes and dreams.
Try to find your lucky clothes that will keep your dreams alive and remind you about them every time you wear them. This might just work wonders!
For example if you dream of travelling abroad, choose clothes or accessories with map images.
Wear something Blue
Many believe blue is the lucky color to attract success. Blue is the color of the sky and heavens. Wearing blue symbolizes looking up towards endless possibilities.
We all know a traditional bride should wear something blue for luck.
Belt Superstition
Wearing a belt wrapped around your body will protect you from sorcery. Be careful where you throw an old and worn out belt away.
You need to make sure a witch never gets her hands on your belt. This is an old superstition and we suspect most people do not follow this belief anymore.
Socks with Holes
If you discover you are wearing a sock or stockings with a hole you can count yourself lucky. You may have good luck for the remainder of the day.
Do not wear the sock or stockings with the hole a second day, especially if you do it intentionally. That will bring bad luck. Purchase some new socks.
Putting on Your Sweater
When you put on your sweater remember to pull your arms through the sleeves of the sweater before pulling it over your head. Supposedly this action is to protect you from drowning.
(We highly recommend you also learn to be a good swimmer!)
Giving Away Your Old Clothes
Giving away clothes you do not use anymore is a good deed. There is one exception to this rule.
Never give your old clothes to old people or very sick people. That will only bring you very bad luck.
Come on now – if anyone deserves some new clothes it certainly is the elderly and the sick.
Anything that makes them feel loved and valued is absolutely worth it. This is when you want to brighten up their day. Giving them old clothes will not do the trick.
Yellow Clothes Superstition in Spain
Yellow is a bright and beautiful color, the color of the sun. You would think this color is pure joy in sunny Spain. Sadly, this is not the case for the superstitious.
In Spain you are advised never to give yellow clothes as a gift. If the person receiving the gift is superstitious that gift may have cost you your friendship. Gifting yellow clothes is a bad signal, you are sending the message that you wish the receiver nothing but bad luck.
Wearing yellow clothes in Spain is acceptable in most situations with a couple exceptions. You would never show up for a job interview in yellow clothes. Wear yellow and you certainly can forget about getting that job, according to superstition.
Likewise, if you aim to do well on your exam you must never consider putting on yellow clothes on the day you are taking an exam.
Shoe Superstitions
If your shoelaces keep coming untied even though you tied your shoe as you normally do, you need to keep checking your mailbox. Good news will be arriving soon, most probably by mail.
Never ever place shoes on a table or on a bed. It is very bad luck. You can expect to get involved in a bad quarrel.
Another more practical side to the matter is of course that it is very unhygienic. Just think of what your shoes may have stepped on outside.
If your lover gifts you a pair of shoes, your future together may not seem too bright.
According to superstition it means he or she wishes you to walk away. You need to really try to rescue your relationship or walk away.
Another version of this superstition is that if you receive a pair of shoes you must immediately give a coin back to the person who gifted you the shoes.
If you do not give a coin, one of you will soon walk away from the relationship.
Once in your lifetime you need to donate a pair of shoes to a needy person. An old saying says if you don’t, you will go barefoot in your next life.
So folks, it is high time to donate those shoes you never wore to a homeless shelter.